He had to admit, it was a beautiful program. Andy had done well. He smiled as he hit the button, launched the attack. The countdown clock started in the window.

His beautiful bomb would show the world power beyond belief. There was no stopping it now, and no stopping him. He was set, he was ready to go, ready to change the world, locked and loaded.

He was whistling as he shoved the gun in his waistband, grabbed his bag. He was only forty minutes from downtown D.C. This time he would do it right. This time he would look into her sightless eyes and know she was finally dead.

If it was a trap, he’d still make it happen, and who cared if he bit the big one? Maybe he didn’t care, he was no longer sure about it.

As he closed the door to the motel, hung up the flimsy DO NO

T DISTURB sign, he wondered how long it would be before someone went into that room.

Good-bye, Andy.

He was still whistling as he walked to the car.




Mike stuck her face in the shower stream of the hot water. She was angry, but she knew it was no use getting into another fight with Nicholas. In the morning she’d present her case to Dillon, maybe Mr. Maitland, that she would be the best at playing Vanessa. It wasn’t like she was helpless—no, she’d have her Glock. She was fast and smart. She was a professional.

She fumed and fretted as she towel-dried her hair, combed it out, and pushed it off her face, hooking it behind her ears. She pulled a pair of yoga pants and a T-shirt out of her go-bag.

The bed looked nice and firm, the way she liked it. She had to admit she was dog-tired, and the bruises were singing out loud and clear. She cursed Nicholas one last time and pulled back the covers.

There was a knock at her door.


Nicholas opened the door, closed it behind him.

“We need to talk.”

She eased out of bed and stood facing him, hands on her hips. “There is absolutely nothing to talk about, unless you’re ready to stop being such a lamebrain about me taking Vanessa’s place. I am a professional, Nicholas, I’ve played bait before, not a problem. I’ll be armed, not helpless, like Vanessa. And I’d—”

He waved his hand in front of her. “Pay attention, Caine. This is a CIA op. Bait will be a CIA operative. Hang it up.”

That stopped her mid-rant. She should have come to that obvious conclusion, which went to prove how tired she was, even her brain was operating at twenty watts. It hurt to say it, but she did. “Very well, I suppose you’re right. It’s too bad, their mistake. What did you want to talk about?”

“About what didn’t happen today, between us. I think we should, don’t you?”

She took a step back. “There is nothing to talk about, since nothing happened. How many times do I have to tell you that? You’re like a dog with a bone. And isn’t that fitting? No talk, do you hear me?”

“Is a dog with a bone better than a bad dog? Never mind. Since you’re shouting again, of course I can hear you. I like those pants and that shirt—what does it say?”

She looked down at her chest. It was one of her favorites: FEEL SAFE, SLEEP WITH A COP.

“So you can read. Bravo.”

He grinned. “Yes, okay, I want to feel safe.”

She stared at him. He was wearing pajama bottoms that came low on his hips and a T-shirt, black and snug, and she kept staring.

In the next instant, she ran those six feet across the room and he grabbed her up in his arms, brought her long legs around his waist, and pulled her tight against him.

What comes next are calculated molecules, not part of the entry.
~~~
# C11H14OS

A single C11H14OS molecule at a distorted geometry (wB97M-V/def2-TZVPD, the Open Molecules 2025 dataset).

The geometry in XYZ format:
```
27
Properties=species:S:1:pos:R:3
C 2.778 -2.039 1.412
C 1.529 -2.376 1.879
C 2.882 -1.143 0.386
C 0.379 -1.882 1.253
C 1.759 -0.580 -0.236
C 0.517 -0.936 0.234
C -0.676 -0.419 -0.517
C -0.187 1.861 0.512
C -0.777 1.681 -1.895
C -2.495 1.067 -0.223
C -0.993 1.040 -0.565
O -2.644 -1.339 -1.964
S -1.488 -1.692 -1.199
H 3.635 -2.409 1.991
H 1.516 -3.159 2.633
H 3.752 -0.631 0.329
H -0.592 -2.399 1.275
H 1.736 0.184 -0.969
H -0.710 2.678 0.841
H 0.837 2.216 0.223
H -0.011 1.411 1.384
H -0.842 2.744 -1.780
H 0.146 1.425 -2.276
H -1.551 1.315 -2.476
H -2.740 2.172 -0.052
H -2.683 0.672 0.737
H -3.077 0.537 -0.938
```

As for the HOMO energy: -8.7 eV. The value obtained for the LUMO energy is 0.165 eV. The largest force on an atom comes out at 4.329 eV/Å. Its orbital gap is 8.9 eV.

Quick look at the natural (NBO) charges, all values in e: atom 1 (C): -0.206, atom 2 (C): -0.196, atom 3 (C): -0.202, atom 4 (C): -0.214, atom 5 (C): -0.186, atom 6 (C): -0.077, atom 7 (C): -0.256, atom 8 (C): -0.599, atom 9 (C): -0.583, atom 10 (C): -0.599, atom 11 (C): -0.112, atom 12 (O): -0.947, atom 13 (S): 1.182, atom 14 (H): 0.217, atom 15 (H): 0.214, atom 16 (H): 0.208, atom 17 (H): 0.225, atom 18 (H): 0.211, atom 19 (H): 0.211, atom 20 (H): 0.207, atom 21 (H): 0.211, atom 22 (H): 0.212, atom 23 (H): 0.203, atom 24 (H): 0.219, atom 25 (H): 0.203, atom 26 (H): 0.208, atom 27 (H): 0.246



# C11H14S

A single C11H14S molecule at a distorted geometry (wB97M-V/def2-TZVPD, the Open Molecules 2025 dataset).

The geometry in XYZ format:
```
26
Properties=species:S:1:pos:R:3
C 0.137 -0.249 -0.927
C -0.433 -1.030 -0.019
C 2.483 -0.925 -0.151
C 1.665 -1.700 0.951
C 0.122 2.329 -0.548
C -0.576 2.062 0.771
C 1.335 -1.138 -1.171
C -0.518 1.082 -1.177
C 0.645 -2.117 -0.129
C -1.835 -0.240 0.645
C -1.584 1.127 0.001
S -3.245 -1.229 0.054
H 2.668 0.140 0.175
H 3.342 -1.575 -0.639
H 2.191 -2.432 1.378
H 1.324 -1.082 1.768
H -0.520 3.160 -1.117
H 1.142 2.413 -0.488
H 0.005 1.529 1.396
H -1.108 2.791 1.275
H 1.507 -1.466 -2.141
H -1.007 1.332 -2.212
H 0.440 -3.090 -0.246
H -1.609 -0.067 1.760
H -2.565 1.481 -0.418
H -4.006 -1.106 1.206
```

As for the HOMO energy: -8.7 eV. The value obtained for the LUMO energy is 0.855 eV. The largest force on an atom comes out at 4.878 eV/Å. Its orbital gap is 9.6 eV. As for the SMILES: S[C@H]1C2=C([C@H]3CC[C@@H]23)[C@@H]2CC[C@H]12.
~~~

“Mike—Michaela.” The words sounded magic in her mouth and in her brain, and she was kissing him like there was nothing else in the world but the two of them.